Exercise:
The reader should repeat every line further below that contains the word "Hf4ZnSnC2".

Source:
=====
Entry 1:
Theoretical X-ray diffraction stick pattern of AgGeB4 for Cu Ka, from the PBE geometry in OQMD.
Peak positions follow from Bragg's law for the DFT cell and can differ from measured ones.

The 10 most intense peaks (5 to 70 degrees two-theta), low angle first:
| (hkl) | d (Å) | two_theta | I (rel.) |
| --- | --- | --- | --- |
| 0 0 1 | 7.520 | 11.77 | 9 |
| 0 0 2 | 3.760 | 23.66 | 42 |
| 1 0 0 | 2.655 | 33.76 | 65 |
| 0 0 3 | 2.504 | 35.86 | 7 |
| 1 0 2 | 2.169 | 41.64 | 100 |
| 0 0 4 | 1.880 | 48.42 | 12 |
| 1 0 3 | 1.823 | 50.04 | 1 |
| 1 1 0 | 1.534 | 60.35 | 42 |
| 1 1 1 | 1.502 | 61.75 | 1 |
| 1 1 2 | 1.420 | 65.79 | 16 |

Atomic structure:
```
data_AgGeB4
_chemical_formula_sum 'Ag1 Ge1 B4'
_space_group_name_H-M_alt 'P 6/m m m'
_space_group_IT_number 191
_space_group_name_Hall '-P 6 2'
_cell_length_a 3.0660
_cell_length_b 3.0660
_cell_length_c 7.5202
_cell_angle_alpha 90.00
_cell_angle_beta 90.00
_cell_angle_gamma 120.00
loop_
_atom_site_label
_atom_site_fract_x
_atom_site_fract_y
_atom_site_fract_z
Ag1 0.0000 0.0000 0.0000
Ge1 0.0000 0.0000 0.5000
B1 0.3333 0.6667 0.2647
```


Entry 2:
Theoretical X-ray diffraction stick pattern of Hf4ZnSnC2 for Cu Ka, from the PBE geometry in OQMD.
Peak positions follow from Bragg's law for the DFT cell and can differ from measured ones.

The 10 most intense peaks (5 to 70 degrees two-theta), low angle first:
| (hkl) | d (Å) | two_theta | I (rel.) |
| --- | --- | --- | --- |
| 0 0 2 | 7.186 | 12.32 | 10 |
| 1 0 0 | 2.864 | 31.23 | 23 |
| 1 0 1 | 2.809 | 31.86 | 5 |
| 1 0 3 | 2.458 | 36.55 | 100 |
| 0 0 6 | 2.395 | 37.55 | 19 |
| 1 0 6 | 1.837 | 49.61 | 15 |
| 1 1 0 | 1.654 | 55.57 | 21 |
| 1 0 9 | 1.395 | 67.11 | 16 |
| 2 0 3 | 1.372 | 68.37 | 16 |
| 1 1 6 | 1.361 | 69.01 | 20 |

Atomic structure:
```
data_Hf4ZnSnC2
_chemical_formula_sum 'Hf4 Zn1 Sn1 C2'
_space_group_name_H-M_alt 'P -6 m 2'
_space_group_IT_number 187
_space_group_name_Hall 'P -6 2'
_cell_length_a 3.3074
_cell_length_b 3.3074
_cell_length_c 14.3720
_cell_angle_alpha 90.00
_cell_angle_beta 90.00
_cell_angle_gamma 120.00
loop_
_atom_site_label
_atom_site_fract_x
_atom_site_fract_y
_atom_site_fract_z
Hf1 0.0000 0.0000 0.1599
Hf2 0.3333 0.6667 0.3319
Zn1 0.3333 0.6667 0.0000
Sn1 0.0000 0.0000 0.5000
C1 0.6667 0.3333 0.2465
```


Entry 3:
Theoretical X-ray diffraction stick pattern of Sr7Nb6O21 for Cu Ka, from the PBE geometry in OQMD.
Peak positions follow from Bragg's law for the DFT cell and can differ from measured ones.

The 10 most intense peaks (5 to 70 degrees two-theta), low angle first:
| (hkl) | d (Å) | two_theta | I (rel.) |
| --- | --- | --- | --- |
| 0 1 8 | 3.825 | 23.25 | 5 |
| 1 0 13 | 2.975 | 30.04 | 100 |
| 1 1 0 | 2.847 | 31.42 | 86 |
| 0 2 13 | 2.057 | 44.02 | 58 |
| 0 2 16 | 1.913 | 47.54 | 3 |
| 0 1 26 | 1.745 | 52.45 | 20 |
| 2 1 13 | 1.667 | 55.08 | 37 |
| 3 0 0 | 1.644 | 55.94 | 19 |
| 2 0 26 | 1.488 | 62.43 | 15 |
| 2 2 0 | 1.423 | 65.58 | 17 |

Atomic structure:
```
data_Sr7Nb6O21
_chemical_formula_sum 'Sr21 Nb18 O63'
_space_group_name_H-M_alt 'R -3'
_space_group_IT_number 148
_space_group_name_Hall '-R 3'
_cell_length_a 5.6939
_cell_length_b 5.6939
_cell_length_c 48.4964
_cell_angle_alpha 90.00
_cell_angle_beta 90.00
_cell_angle_gamma 120.00
loop_
_atom_site_label
_atom_site_fract_x
_atom_site_fract_y
_atom_site_fract_z
Sr1 0.0000 0.0000 0.0000
Sr2 0.0000 0.0000 0.1521
Sr3 0.0000 0.0000 0.2320
Sr4 0.0000 0.0000 0.3842
Nb1 0.0000 0.0000 0.0732
Nb2 0.0000 0.0000 0.3093
Nb3 0.0000 0.0000 0.4577
O1 0.0000 0.5000 0.0000
O2 0.0030 0.4366 0.8589
O3 0.0055 0.4759 0.6192
O4 0.0071 0.5491 0.2392
```


Entry 4:
Theoretical X-ray diffraction stick pattern of Ho4B6O15 for Cu Ka, from the PBE geometry in OQMD.
Peak positions follow from Bragg's law for the DFT cell and can differ from measured ones.

The 10 most intense peaks (5 to 70 degrees two-theta), low angle first:
| (hkl) | d (Å) | two_theta | I (rel.) |
| --- | --- | --- | --- |
| 0 0 2 | 9.279 | 9.53 | 27 |
| 1 1 1 | 3.943 | 22.55 | 57 |
=====

Response:
Theoretical X-ray diffraction stick pattern of Hf4ZnSnC2 for Cu Ka, from the PBE geometry in OQMD.